== Listing ==
No. 1
Compound: SrCrSN2
Source: Alexandria
Functional: PBE-GGA
Structure: relaxed

Size of the total moment, μB per formula unit: 0.41
E, eV per atom: -6.747
E_form (uncorrected), eV per atom: -0.3303

Cell lengths 3.873, 3.873, 4.898 Å; angles 90.00, 90.00, 90.00 degrees
Space group P4/mmm (No. 123)
One atom of each set of equivalent atoms:
Sr 0.000 0.000 0.000 x1
Cr 0.500 0.500 0.500 x1
S 0.500 0.500 0.000 x1
N 0.000 0.500 0.500 x2

No. 2
Compound: YAg2
Source: Alexandria
Functional: PBE-GGA
Structure: relaxed

Size of the total moment, μB per formula unit: 0.00
E_form, meV/atom: -177
E, eV per atom: -4.232

Cell lengths 3.922, 3.922, 18.511 Å; angles 90.00, 90.00, 90.00 degrees
Space group I4_1/amd (No. 141, origin choice 2)
One atom of each set of equivalent atoms:
Y 0.000 0.250 0.375 x4
Ag 0.000 0.250 0.800 x8

No. 3
Compound: Sr2NbAg
Source: Alexandria
Functional: PBE-GGA
Structure: relaxed

Size of the total moment, μB per formula unit: 3.93
E_form, meV/atom: 808
E, eV per atom: -3.263

Cell lengths 8.804, 8.804, 6.711 Å; angles 90.00, 90.00, 90.00 degrees
Space group I-42d (No. 122)
One atom of each set of equivalent atoms:
Sr 0.221 0.250 0.125 x8
Nb 0.000 0.000 0.500 x4
Ag 0.000 0.000 0.000 x4

No. 4
Compound: YTaSeBr2
Source: Alexandria
Functional: PBE-GGA
Structure: relaxed

Size of the total moment, μB per formula unit: 3.98
E, eV per atom: -4.901
E_form (uncorrected), eV per atom: 0.1288

Cell lengths 5.439, 5.439, 5.615 Å; angles 90.00, 90.00, 90.00 degrees
Space group P4/mmm (No. 123)
One atom of each set of equivalent atoms:
Y 0.000 0.000 0.000 x1
Ta 0.500 0.500 0.500 x1
Se 0.000 0.000 0.500 x1
Br 0.000 0.500 0.000 x2

No. 5
Compound: Pm4Dy3Tm
Source: Alexandria
Functional: PBE-GGA
Structure: relaxed

Size of the total moment, μB per formula unit: 0.00
E_form, meV/atom: 25
E, eV per atom: -4.635

Cell lengths 11.498, 7.306, 6.302 Å; angles 90.00, 90.00, 90.00 degrees
Space group Pmn2_1 (No. 31)
One atom of each set of equivalent atoms:
Pm 0.000 0.127 0.000 x2
Pm 0.000 0.873 0.496 x2
Pm 0.249 0.872 0.833 x4
Dy 0.000 0.377 0.499 x2
Dy 0.250 0.378 0.831 x4
Tm 0.000 0.621 0.998 x2

No. 6
Compound: AgC3I
Source: Alexandria
Functional: PBE-GGA
Structure: relaxed

Size of the total moment, μB per formula unit: 0.00
E, eV per atom: -2.954
E_form (uncorrected), eV per atom: 3.4604

Cell lengths 4.246, 4.246, 4.246 Å; angles 90.00, 90.00, 90.00 degrees
Space group Pm-3m (No. 221)
One atom of each set of equivalent atoms:
Ag 0.000 0.000 0.000 x1
C 0.000 0.500 0.500 x3
I 0.500 0.500 0.500 x1

* * * * *

The following is a PBE-GGA calculation of a relaxed structure of CaCd2Au8, from Alexandria via LeMat-Bulk.

Results
For the raw total energy, the calculation gives -66.08 eV for the cell shown. The energy relative to the elements comes out at -0.27 eV per atom.

a b c (Å): 15.4938 4.1519 6.8720
angles (deg): 90.00 106.86 90.00
Space group C2/m (No. 12)
Unique sites:
Ca  0.0000  0.0000  0.0000 x2
Cd  0.2225  0.5000  0.6476 x4
Au  0.0441  0.5000  0.7216 x4
Au  0.0934  0.0000  0.4556 x4
Au  0.1410  0.5000  0.1954 x4
Au  0.1804  0.0000  0.9155 x4

---

The following is a PBE-GGA calculation of a relaxed structure of Ca2CdAu, from Alexandria via LeMat-Bulk.

Results
For the raw total energy, the calculation gives -17.76 eV for the cell shown. The energy relative to the elements comes out at -0.17 eV per atom.

a b c (Å): 3.9440 3.9440 16.9302
angles (deg): 90.00 90.00 90.00
Space group I4/mmm (No. 139)
Unique sites:
Ca  0.0000  0.0000  0.1683 x4
Cd  0.0000  0.0000  0.5000 x2
Au  0.0000  0.0000  0.0000 x2

---

> Number 2 is which compound?

Ca2CdAu

---

> Look up the energy relative to the elements of the second one.

-0.17 eV per atom

---

> Which value of energy relative to the elements does entry 1 give?

-0.27 eV per atom

* * * * *

Below is a relaxed RbCaI2O crystal, with properties calculated at the PBE level.

Cell lengths 6.439, 6.439, 4.538 Å; angles 90.00, 90.00, 90.00 degrees
Fractional positions:

== Assignment ==
Now restate the whole of the entries further up word for word.

== Written answer ==
No. 1
Compound: SrCrSN2
Source: Alexandria
Functional: PBE-GGA
Structure: relaxed

Size of the total moment, μB per formula unit: 0.41
E, eV per atom: -6.747
E_form (uncorrected), eV per atom: -0.3303

Cell lengths 3.873, 3.873, 4.898 Å; angles 90.00, 90.00, 90.00 degrees
Space group P4/mmm (No. 123)
One atom of each set of equivalent atoms:
Sr 0.000 0.000 0.000 x1
Cr 0.500 0.500 0.500 x1
S 0.500 0.500 0.000 x1
N 0.000 0.500 0.500 x2

No. 2
Compound: YAg2
Source: Alexandria
Functional: PBE-GGA
Structure: relaxed

Size of the total moment, μB per formula unit: 0.00
E_form, meV/atom: -177
E, eV per atom: -4.232

Cell lengths 3.922, 3.922, 18.511 Å; angles 90.00, 90.00, 90.00 degrees
Space group I4_1/amd (No. 141, origin choice 2)
One atom of each set of equivalent atoms:
Y 0.000 0.250 0.375 x4
Ag 0.000 0.250 0.800 x8

No. 3
Compound: Sr2NbAg
Source: Alexandria
Functional: PBE-GGA
Structure: relaxed

Size of the total moment, μB per formula unit: 3.93
E_form, meV/atom: 808
E, eV per atom: -3.263

Cell lengths 8.804, 8.804, 6.711 Å; angles 90.00, 90.00, 90.00 degrees
Space group I-42d (No. 122)
One atom of each set of equivalent atoms:
Sr 0.221 0.250 0.125 x8
Nb 0.000 0.000 0.500 x4
Ag 0.000 0.000 0.000 x4

No. 4
Compound: YTaSeBr2
Source: Alexandria
Functional: PBE-GGA
Structure: relaxed

Size of the total moment, μB per formula unit: 3.98
E, eV per atom: -4.901
E_form (uncorrected), eV per atom: 0.1288

Cell lengths 5.439, 5.439, 5.615 Å; angles 90.00, 90.00, 90.00 degrees
Space group P4/mmm (No. 123)
One atom of each set of equivalent atoms:
Y 0.000 0.000 0.000 x1
Ta 0.500 0.500 0.500 x1
Se 0.000 0.000 0.500 x1
Br 0.000 0.500 0.000 x2

No. 5
Compound: Pm4Dy3Tm
Source: Alexandria
Functional: PBE-GGA
Structure: relaxed

Size of the total moment, μB per formula unit: 0.00
E_form, meV/atom: 25
E, eV per atom: -4.635

Cell lengths 11.498, 7.306, 6.302 Å; angles 90.00, 90.00, 90.00 degrees
Space group Pmn2_1 (No. 31)
One atom of each set of equivalent atoms:
Pm 0.000 0.127 0.000 x2
Pm 0.000 0.873 0.496 x2
Pm 0.249 0.872 0.833 x4
Dy 0.000 0.377 0.499 x2
Dy 0.250 0.378 0.831 x4
Tm 0.000 0.621 0.998 x2

No. 6
Compound: AgC3I
Source: Alexandria
Functional: PBE-GGA
Structure: relaxed

Size of the total moment, μB per formula unit: 0.00
E, eV per atom: -2.954
E_form (uncorrected), eV per atom: 3.4604

Cell lengths 4.246, 4.246, 4.246 Å; angles 90.00, 90.00, 90.00 degrees
Space group Pm-3m (No. 221)
One atom of each set of equivalent atoms:
Ag 0.000 0.000 0.000 x1
C 0.000 0.500 0.500 x3
I 0.500 0.500 0.500 x1

* * * * *

The following is a PBE-GGA calculation of a relaxed structure of CaCd2Au8, from Alexandria via LeMat-Bulk.

Results
For the raw total energy, the calculation gives -66.08 eV for the cell shown. The energy relative to the elements comes out at -0.27 eV per atom.

a b c (Å): 15.4938 4.1519 6.8720
angles (deg): 90.00 106.86 90.00
Space group C2/m (No. 12)
Unique sites:
Ca  0.0000  0.0000  0.0000 x2
Cd  0.2225  0.5000  0.6476 x4
Au  0.0441  0.5000  0.7216 x4
Au  0.0934  0.0000  0.4556 x4
Au  0.1410  0.5000  0.1954 x4
Au  0.1804  0.0000  0.9155 x4

---

The following is a PBE-GGA calculation of a relaxed structure of Ca2CdAu, from Alexandria via LeMat-Bulk.

Results
For the raw total energy, the calculation gives -17.76 eV for the cell shown. The energy relative to the elements comes out at -0.17 eV per atom.

a b c (Å): 3.9440 3.9440 16.9302
angles (deg): 90.00 90.00 90.00
Space group I4/mmm (No. 139)
Unique sites:
Ca  0.0000  0.0000  0.1683 x4
Cd  0.0000  0.0000  0.5000 x2
Au  0.0000  0.0000  0.0000 x2

---

> Number 2 is which compound?

Ca2CdAu

---

> Look up the energy relative to the elements of the second one.

-0.17 eV per atom

---

> Which value of energy relative to the elements does entry 1 give?

-0.27 eV per atom

* * * * *

Below is a relaxed RbCaI2O crystal, with properties calculated at the PBE level.

Cell lengths 6.439, 6.439, 4.538 Å; angles 90.00, 90.00, 90.00 degrees
Fractional positions: